[Source]
+++
# 1
Starting from a DFT-relaxed cell (PBE, the Materials Project), the powder X-ray diffraction pattern of Sn4SF6 was computed for λ = 1.5418 Å (Cu Kα).
Peak positions follow from Bragg's law for the DFT cell and can differ from measured ones.

Structural model:
a b c (Å): 6.0833 6.0833 6.0833
angles (deg): 93.41 93.41 93.41
Sites, in units of the cell vectors:
Sn 0.0000 0.0000 0.0000
Sn 0.4953 0.9897 0.4982
Sn 0.4982 0.4953 0.9897
Sn 0.9897 0.4982 0.4953
S 0.5703 0.5703 0.5703
F 0.0741 0.8197 0.6889
F 0.1011 0.3577 0.7930
F 0.3577 0.7930 0.1011
F 0.6889 0.0741 0.8197
F 0.7930 0.1011 0.3577
F 0.8197 0.6889 0.0741

Peak list (10 most intense, 15° ≤ 2θ ≤ 90°, in order of rising 2θ)
| two_theta | I (rel.) |
| --- | --- |
| 24.91 | 100 |
| 27.05 | 24 |
| 29.48 | 73 |
| 40.76 | 32 |
| 43.55 | 29 |
| 48.36 | 21 |
| 49.60 | 39 |
| 51.10 | 21 |
| 52.02 | 20 |
| 67.33 | 18 |



# 2
Starting from a DFT-relaxed cell (PBE, the Materials Project), the powder X-ray diffraction pattern of Mg3Si2H4O9 was computed for λ = 1.5418 Å (Cu Kα).
Peak positions follow from Bragg's law for the DFT cell and can differ from measured ones.

Structural model:
a b c (Å): 5.3714 5.3714 14.8071
angles (deg): 90.00 90.00 120.00
Sites, in units of the cell vectors:
Mg 0.0000 0.3313 0.0000
Mg 0.0000 0.6687 0.5000
Mg 0.3313 0.0000 0.0000
Mg 0.3313 0.3313 0.5000
Mg 0.6687 0.0000 0.5000
Mg 0.6687 0.6687 0.0000
Si 0.3333 0.6667 0.3097
Si 0.3333 0.6667 0.8097
Si 0.6667 0.3333 0.3097
Si 0.6667 0.3333 0.8097
H 0.0000 0.0000 0.3601
H 0.0000 0.0000 0.8601
H 0.0000 0.3512 0.6315
H 0.0000 0.6488 0.1315
H 0.3512 0.0000 0.6315
H 0.3512 0.3512 0.1315
H 0.6488 0.0000 0.1315
H 0.6488 0.6488 0.6315
O 0.0000 0.0000 0.4254
O 0.0000 0.0000 0.9254
O 0.0000 0.3361 0.5661
O 0.0000 0.4882 0.7683
O 0.0000 0.5118 0.2683
O 0.0000 0.6639 0.0661
O 0.3333 0.6667 0.4184
O 0.3333 0.6667 0.9184
O 0.3361 0.0000 0.5661
O 0.3361 0.3361 0.0661
O 0.4882 0.0000 0.7683
O 0.4882 0.4882 0.2683
O 0.5118 0.0000 0.2683
O 0.5118 0.5118 0.7683
O 0.6639 0.0000 0.0661
O 0.6639 0.6639 0.5661
O 0.6667 0.3333 0.4184
O 0.6667 0.3333 0.9184

Peak list (10 most intense, 15° ≤ 2θ ≤ 90°, in order of rising 2θ)
| two_theta | I (rel.) |
| --- | --- |
| 19.08 | 43 |
| 22.57 | 56 |
| 24.04 | 63 |
| 35.56 | 100 |
| 38.15 | 28 |
| 41.54 | 23 |
| 45.60 | 36 |
| 55.28 | 20 |
| 59.63 | 35 |
| 60.77 | 20 |

----------

For P3Au2, the PBE geometry in OQMD gives the simulated PXRD pattern in this record (Cu Kα).
Kinematic intensities with the Lorentz-polarization factor, no thermal factor.

Structure:
```
P3Au2
1.0
2.965 -7.303 0.000
2.965 7.303 0.000
-1.489 0.000 4.505
P Au
6 4
direct
0.051 0.293 0.181 P
0.184 0.184 0.474 P
0.293 0.051 0.181 P
0.707 0.949 0.819 P
0.816 0.816 0.526 P
0.949 0.707 0.819 P
0.000 0.500 0.500 Au
0.392 0.608 0.000 Au
0.500 0.000 0.500 Au
0.608 0.392 0.000 Au
```

Most intense lines, 2θ = 10–90°, most intense first:
d/Å, I (rel.)
2.837, 100
2.817, 54
3.835, 48
1.827, 46
2.229, 36
7.303, 33
5.253, 31
2.627, 27

----------

This entry pairs a crystal structure of Pr15Nd4Mg with its theoretical powder diffractogram. Radiation: Cu Kα (weighted mean of Kα1 and Kα2). Structure: a structure optimized by DFT (GGA-PBE).
No peak broadening, texture or thermal motion is included.

Structural model:
a = 5.209 Å, b = 5.209 Å, c = 26.114 Å
α = 90.00°, β = 90.00°, γ = 90.00°
Fractional coordinates of all 20 atoms:
Pr 0.000 0.000 0.000
Pr 0.000 0.000 0.196
Pr 0.000 0.000 0.399
Pr 0.000 0.000 0.601
Pr 0.000 0.000 0.804
Pr 0.000 0.500 0.097
Pr 0.000 0.500 0.298
Pr 0.000 0.500 0.500
Pr 0.000 0.500 0.702
Pr 0.000 0.500 0.903
Pr 0.500 0.000 0.097
Pr 0.500 0.000 0.298
Pr 0.500 0.000 0.500
Pr 0.500 0.000 0.702
Pr 0.500 0.000 0.903
Nd 0.500 0.500 0.197
Nd 0.500 0.500 0.399
Nd 0.500 0.500 0.601
Nd 0.500 0.500 0.803
Mg 0.500 0.500 0.000

Most intense lines, 10° ≤ 2θ ≤ 90°, sorted by position:
- 2θ 29.68, intensity 100.0
- 2θ 34.40, intensity 50.6
- 2θ 49.45, intensity 36.0
- 2θ 58.65, intensity 13.8
- 2θ 58.78, intensity 28.8
+++
[Job]
The reader should find "93.41" and "0.0000 0.3313" in the data above, and give back these two lines and those between.
[Solution]
angles (deg): 93.41 93.41 93.41
Sites, in units of the cell vectors:
Sn 0.0000 0.0000 0.0000
Sn 0.4953 0.9897 0.4982
Sn 0.4982 0.4953 0.9897
Sn 0.9897 0.4982 0.4953
S 0.5703 0.5703 0.5703
F 0.0741 0.8197 0.6889
F 0.1011 0.3577 0.7930
F 0.3577 0.7930 0.1011
F 0.6889 0.0741 0.8197
F 0.7930 0.1011 0.3577
F 0.8197 0.6889 0.0741

Peak list (10 most intense, 15° ≤ 2θ ≤ 90°, in order of rising 2θ)
| two_theta | I (rel.) |
| --- | --- |
| 24.91 | 100 |
| 27.05 | 24 |
| 29.48 | 73 |
| 40.76 | 32 |
| 43.55 | 29 |
| 48.36 | 21 |
| 49.60 | 39 |
| 51.10 | 21 |
| 52.02 | 20 |
| 67.33 | 18 |



# 2
Starting from a DFT-relaxed cell (PBE, the Materials Project), the powder X-ray diffraction pattern of Mg3Si2H4O9 was computed for λ = 1.5418 Å (Cu Kα).
Peak positions follow from Bragg's law for the DFT cell and can differ from measured ones.

Structural model:
a b c (Å): 5.3714 5.3714 14.8071
angles (deg): 90.00 90.00 120.00
Sites, in units of the cell vectors:
Mg 0.0000 0.3313 0.0000